时间:2019-06-13    浏览量:

[Records of molecules, as found in the file]
'''
Entry 1:
The following is a quantum chemistry calculation of a structure of composition C32H36N6O5Sr in a non-equilibrium geometry, from the Open Molecules 2025 dataset.

Each line ends with the Löwdin charge.
Geometry (Å):
Sr -0.29943 -0.54780 0.39078  1.36
C -2.86666 -3.08690 -0.52528  -0.04
C -2.12412 -3.23698 -1.83701  -0.20
C -2.09692 -4.48585 -2.46038  -0.08
C -1.40264 -4.68359 -3.64111  -0.12
C -0.69843 -3.61755 -4.19329  -0.07
C -0.69848 -2.36143 -3.59992  -0.20
C 0.12700 -1.25104 -4.18384  -0.04
C -1.45026 -2.15351 -2.42084  -0.20
N -1.42772 -0.91063 -1.75375  -0.05
C -1.86437 0.18242 -2.38416  -0.51
O -2.52197 0.26808 -3.43290  -0.01
C -1.48668 1.50264 -1.70128  -0.17
C -2.02194 2.69019 -2.17481  -0.01
C -1.64431 3.87632 -1.56270  -0.06
C -0.74581 3.85101 -0.50668  -0.01
C -0.24816 2.62743 -0.08744  -0.17
N -0.61548 1.48697 -0.68446  -0.01
C 0.68223 2.58341 1.12804  -0.51
O 1.13129 3.67263 1.52680  -0.03
N 0.88140 1.36389 1.61679  0.00
C 1.46103 1.16332 2.87926  -0.20
C 2.56342 0.28980 2.97361  -0.21
C 3.20084 -0.25634 1.71821  -0.04
C 3.06656 -0.05893 4.22358  -0.08
C 2.50819 0.44607 5.39000  -0.13
C 1.43938 1.32754 5.29190  -0.08
C 0.90989 1.70319 4.05988  -0.20
C -0.27207 2.62980 4.00572  -0.04
H -3.92554 -3.33453 -0.64574  0.08
H -2.80478 -2.07081 -0.13628  0.03
H -2.45285 -3.76210 0.23105  0.07
H -2.62915 -5.31304 -1.99813  0.10
H -1.39134 -5.65873 -4.11857  0.08
H -0.11369 -3.76543 -5.09672  0.09
H 0.78503 -1.63631 -4.96474  0.07
H 0.75168 -0.78524 -3.41540  0.07
H -0.51448 -0.47590 -4.61195  0.07
H -2.71530 2.63958 -3.00193  0.11
H -2.05426 4.81895 -1.90631  0.10
H -0.41439 4.73962 0.00950  0.11
H 3.28123 0.51399 0.94948  0.09
H 2.62639 -1.07492 1.27664  0.05
H 4.19652 -0.64524 1.93014  0.08
H 3.91565 -0.73427 4.27726  0.10
H 2.90253 0.16241 6.35919  0.08
H 0.99182 1.73116 6.19587  0.09
H -0.62343 2.85492 5.01429  0.07
H -1.09088 2.17053 3.44483  0.06
H -0.00910 3.55854 3.49539  0.07
N -0.89035 -2.87474 3.48646  0.14
C -0.04984 -3.70855 2.76909  -0.39
C 0.37236 -4.94382 3.27715  -0.05
C 1.15455 -5.74893 2.47411  -0.10
C 1.49667 -5.32880 1.19375  -0.08
C 1.04062 -4.09217 0.77160  -0.12
N 0.28826 -3.29487 1.54806  0.09
H -0.80222 -2.88557 4.48592  0.09
H -1.04269 -1.95566 3.08333  0.04
H 0.06661 -5.25050 4.27136  0.10
H 1.49363 -6.71110 2.84305  0.09
H 2.11782 -5.92957 0.54251  0.09
H 1.31263 -3.69725 -0.20020  0.09
C -4.46407 0.00658 0.82506  -0.12
C -3.75193 -0.35685 2.12893  -0.58
C -4.54408 0.25841 3.29542  -0.13
C -2.27917 0.07599 2.07872  -0.30
H -5.45490 -0.46091 0.74543  0.07
H -3.87329 -0.28873 -0.04692  0.05
H -4.60106 1.09548 0.77007  0.07
H -3.80821 -1.44898 2.26004  0.10
H -4.53656 1.35082 3.20217  0.07
H -4.07739 0.00347 4.25094  0.06
H -5.59494 -0.07882 3.32503  0.06
H -1.87177 0.00203 3.11263  -0.01
H -2.27734 1.16546 1.85766  0.01
O 3.06127 -0.39565 -2.21114  -0.04
N 3.06711 -1.41517 -1.49778  -0.59
O 4.06982 -2.15437 -1.42643  -0.06
O 1.99026 -1.77955 -0.91603  -0.17
'''



报告题目1:An Era of InnovationAn Era of Innovation

主讲人:  Sang H. Son



现任韩国大邱庆北技术学院(DGIST)讲座教授、韩国国家工程院董事会成员、韩国国家工程院外籍院士、韩国科学院院士、IEEE FellowProf. Son于美国马里兰大学帕克分校(University of Maryland, College Park)获取博士学位,曾为美国弗吉尼亚大学助教授、副教授、教授,并作为访问教授工作于韩国先进科技研究所 (KAIST)、韩国Sogang大学、法国Ecole Centrale de Lille、香港城市大学、瑞典Linkoping大学及Skovde大学。于2012年受聘于韩国DGIST,先后担任研究生院院长、信息与通信工程系主任、CPS国际中心主任、教务处主任、校长。

主要研究方向:实时系统、数据库与数据服务、无线传感器网络、信息物理融合系统、移动系统等。在相关领域完成著作4部,章节著作20余篇、论文340余篇,Google Scholar引用超过15000次,h-index 53。曾担任IEEE Technical Committee on Real-Time Systems主席(2007-2008)、包括RTSS等众多国际会议程序委员会主席和常务主席、IEEE Transactions on Computers, IEEE Transactions on Parallel and Distributed Systems等众多期刊副主编,曾荣获IEEE/ACM Cyber Physical Systems Week杰出贡献奖(2012)、Korean Computer Scientists and Engineers Association in America2012)杰出服务奖、 Computer Society Technical Committee on Real-Time Systems(2009)服务奖、IEEE RTCSA’04杰出贡献奖等。


We are entering into an era of innovation and rapid change, driven by disruptive technology. It is a new kind of technological revolution that will fundamentally change the way we live and work. In its scale, scope, and impact, this transformation, called the Fourth Industrial Revolution, will be unlike anything humankind has experienced before.

Calculated molecules that have nothing to do with the text:
-- begin --
ORCA calculation (ωB97M-V/def2-TZVPD) on C36H90InN6NaO16P as an isolated structure in a non-equilibrium geometry.

Summary:
Relative energy (zero: lowest compared OMol25 entry of this formula, charge and spin), kcal/mol: 177.7
Total charge: +1
HOMO level, eV: -9.657
2S+1: 1
F_max, eV/Å: 4.192
Gap between HOMO and LUMO, eV: 4.232

Each line ends with the Mulliken charge.
Atoms and positions in Å:
In1 0.973157 -2.263153 3.195171  0.9700
Na1 -4.535893 3.411097 -1.850339  0.9628
P1 -0.382273 1.071237 -0.909419  0.8513
O1 0.904227 1.370107 -0.089059  -0.3999
O2 -0.739653 2.096557 -2.078409  -0.6301
O3 -1.466563 1.069777 0.210891  -0.3746
O4 -0.310393 -0.453403 -1.246049  -0.4258
C1 -4.435383 1.485557 -5.520649  -0.7117
O5 -5.231493 2.698017 -5.444179  -0.2922
C2 -5.432383 3.346307 -6.702689  -0.7519
C3 -4.114863 3.827477 -7.307509  -0.5397
N1 -3.428043 4.735047 -6.353939  -0.2970
C4 -2.396023 5.561957 -6.974549  -0.5378
C5 -2.961713 6.887787 -7.589769  -0.5123
O6 -2.038373 7.726527 -8.324819  -0.4155
C6 -0.952833 8.236257 -7.499509  -0.6912
H1 -4.625853 0.665357 -6.212819  0.3060
H2 -4.556913 1.062717 -4.523389  0.2362
H3 -3.384673 1.768287 -5.585069  0.3026
H4 -5.925133 4.302567 -6.527009  0.3442
H5 -6.064893 2.849467 -7.438339  0.3668
H6 -4.440333 4.341367 -8.211989  0.4505
H7 -3.490173 2.987247 -7.610639  0.3605
H8 -2.811763 4.254827 -5.713869  0.2519
H9 -1.808543 4.943147 -7.652809  0.2303
H10 -1.739653 5.828927 -6.146289  0.4117
H11 -3.505433 7.430847 -6.816759  0.3702
H12 -3.714653 6.658897 -8.343939  0.2979
H13 -1.284803 8.258357 -6.461519  0.3079
H14 -0.452453 9.131187 -7.869409  0.2725
H15 -0.158053 7.491187 -7.535189  0.2559
C7 0.641997 -8.682743 -3.297139  -0.7126
O7 1.228547 -9.977103 -3.028209  -0.3651
C8 0.647377 -10.710023 -1.956409  -0.6819
C9 1.271157 -12.119933 -1.824319  -0.5945
N2 2.686987 -11.889383 -1.711399  -0.2034
C10 3.343857 -13.181753 -1.865179  -0.8601
C11 4.775177 -13.156793 -1.108469  -0.5858
O8 4.562887 -12.900743 0.252211  -0.2768
C12 5.727397 -13.012983 0.998151  -0.7797
H16 0.602807 -8.113493 -2.368409  0.2881
H17 -0.331303 -8.874663 -3.748759  0.2797
H18 1.159917 -8.066283 -4.031869  0.2549
H19 -0.418783 -10.900153 -2.079909  0.4015
H20 0.726667 -10.102633 -1.054799  0.3806
H21 0.952937 -12.656343 -2.718229  0.3267
H22 0.993137 -12.493943 -0.838959  0.3886
H23 2.846217 -11.146803 -2.377229  0.2350
H24 3.463507 -13.520243 -2.894359  0.4263
H25 2.659757 -13.967043 -1.543579  0.4587
H26 5.380597 -12.338283 -1.497829  0.3077
H27 5.236757 -14.143673 -1.141789  0.4338
H28 6.474897 -12.254873 0.764441  0.3222
H29 6.343157 -13.886143 0.782411  0.3029
H30 5.522527 -12.946433 2.066651  0.2537
C13 2.496697 8.934457 1.273921  -0.7380
O9 2.645247 8.482267 -0.051599  -0.2817
C14 3.259847 7.257957 -0.166419  -0.6040
C15 3.485857 7.001407 -1.641439  -0.4777
N3 4.374217 5.797167 -1.731929  -0.4170
C16 4.439227 5.442857 -3.187859  -0.5993
C17 4.949887 6.549917 -4.228169  -0.4484
O10 4.903127 6.019897 -5.549639  -0.3297
-- stop --

In this time of innovation, driven by the unique power of convergence, we should ponder on few important questions, including how should the scientists and engineers of the future be educated and what is the role of scientists. Regarding education, it is clear that the paradigms of the past—education by specialty, disciplinary boundaries, and so forth—will be (if not already are) inadequate for training those who will lead and drive the Fourth Industrial Revolution. How do we train the next generation of scientists and engineers with the capabilities essential in this new era of convergence thinking, individuals who can freely work across multiple fields of study, interacting with and integrating diverse people and subjects? Regarding the role of scientists in society, it is important to note that we have received enormous support from government and society, and we should contribute to the economic advancement in a more impactful way. This is especially important in the Fourth Industrial Revolution as convergence is not just defined by intellectual curiosity or as an academic exercise but by human needs and applications.

While the Fourth Industrial Revolution has had an impact even on the present, its impact will grow rapidly in the future. An incredible amount of novel technology will appear in various fields and that will significantly affect our lives. There are high expectations on scientists to lead the wave of innovation. Let's aim high and think how we will contribute to the society and humanity in this era of innovation.

报告题目2:An Indoor Location Analytics System for Exhibition and Convention Industries in a Smart & Open City

主讲人:  Joseph K.Y. Ng,香港浸会大学


现任香港浸会大学教授,香港浸会大学计算机系普适计算研究中心主任。Prof.Ng于伊利诺伊大学厄巴纳-香槟分校(UIUC)获得学士、硕士及博士学位,曾为加州大学-伯克利分校(UC Berkeley)访问学者。

主要研究方向:实时嵌入式系统、信息-物理融合系统、物联网、无线通信、普适计算等,在相关领域发表期刊及会议论文170余篇。曾担任众多国际会议的Steering Chairs,Program ChairsGeneral Chairs,以及众多期刊的编委会成员及副主编。现为IEEE高级会员,曾先后担任IEEE香港分会Computer Society Chapter的执行委员会成员、常务秘书、副主席及主席。同时,Prof.Ng也是IEEE Communication Society会员、ACM会员、香港工程师学会会士(Fellow of HKIE)、香港计算机学会会士(Fellow of Hong Kong Computer Society)。


In Hong Kong, we agreed that a Smart City should emphasis on leveraging Information and Communications Technology to enhance the efficiency of a city’s systems, operations and services. But we also want to add user-centric and the degree of openness to the available services and data such that a Smart & Open City shall leverage human and social capital to facilitate the sustainable growth of the community and improve the quality of living. Hence, for the first part of the talk, we will describe the Smart City Projects and The Open City initiatives in Hong Kong. And in the latter part, we will talk about our recent research and development, under the Smart City framework, in merging two of the more important technologies – localization & tracking and big data analysis and put into practical use.

In the exhibition and convention industry, the more information and data you have about the visitor, the more likely you will succeed in your marketing strategy. And thus, the Indoor Location Analytics System (ILAS) is developed for better matchmaking between buyers and exhibitors in the exhibition industry. ILAS consists of 3 major components: 1) an indoor positioning system which use both Wifi-based and Mobile network based approaches to identify visitors’ location information, 2) a backend analytics system which combines the content-based recommendation and collaborative filtering approach for robust identification of visitors’ preference for enabling value-added services provisioning, and 3) a mobile apps allowing the system to communicate with the visitors to provide a just-in-time and personalized information according to the visitors’ current location. The proposed system adds values and opportunities to different stakeholders in the Exhibition and Convention Industry. On one hand, reducing the matchmaking cost between the buyers and exhibitors can enhance their levels of satisfaction. Also, based on the collected data, the backend analytics system can analyze the visitor flow patterns to provide decision support to the exhibition organizers for better venue design and booth pricing strategy. Furthermore, the introducing of “Femtocell” technology in the proposed solution allows seamless transition of mobile basestations from outdoor to indoor. It not only improve the positioning accuracy, but also opens up an opportunity to link up with mobile service providers for new business models like mobile advertisement and marketing.

报告题目3:Sharing of My Two Vs’ Research Interests: Vehdoop and ViDA


主讲人:Victor C.S. Lee,香港城市大学

What comes next are molecular data, not part of the page.
+++
1.
{
  "formula": "C45H126O27",
  "method": "wB97M-V/def2-TZVPD",
  "multiplicity": 1,
  "e_lumo_ha": 0.010,
  "gap_ha": 0.36835,
  "homo_ev": -9.75,
  "elements": ["C", "C", "O", "O", "H", "H", "H", "H", "H", "H", "C", "C", "O", "O", "H", "H", "H", "H", "H", "H", "C", "C", "O", "O", "H", "H", "H", "H", "H", "H", "C", "C", "O", "O", "H", "H", "H", "H", "H", "H", "C", "C", "O", "O", "H", "H", "H", "H", "H", "H", "C", "C", "O", "O", "H", "H", "H", "H", "H", "H", "C", "C", "O", "O", "H", "H", "H", "H", "H", "H", "C", "C", "O", "O", "H", "H", "H", "H", "H", "H", "C", "C", "O", "O", "H", "H", "H", "H", "H", "H", "C", "C", "C", "O", "H", "H", "H", "H", "H", "H", "H", "H", "C", "C", "C", "O", "H", "H", "H", "H", "H", "H", "H", "H", "C", "C", "C", "O", "H", "H", "H", "H", "H", "H", "H", "H", "C", "C", "C", "O", "H", "H", "H", "H", "H", "H", "H", "H", "C", "C", "C", "O", "H", "H", "H", "H", "H", "H", "H", "H", "C", "C", "C", "O", "H", "H", "H", "H", "H", "H", "H", "H", "C", "C", "C", "O", "H", "H", "H", "H", "H", "H", "H", "H", "C", "C", "C", "O", "H", "H", "H", "H", "H", "H", "H", "H", "C", "C", "C", "O", "H", "H", "H", "H", "H", "H", "H", "H"],
+++



主要研究方向:移动计算、车联网、智能交通、实时数据库系统等。目前已发表论文190余篇,其中 SCI 期刊论文80 余篇、国际会议论文100余篇,章节著作6篇。曾7次获得由香港研究资助局(Research Grants Council of Hong Kong, RGC)的面上研究项目资助(General Research Fund, GRF)3次获得由香港城市大学策略研究资助项目(Strategic Research GrantSRG)。现为IEEE Computer Society会员、ACM会员,曾担任IEEE Hong Kong Section Computer Society Chapter 秘书 (2003-2005) 及主席 (2006-2007)


Vehdoop is an analytical processing framework proposed for vehicular sensor networks to efficiently process sensor data in parallel across a large number of vehicles in a decentralized manner for supporting a wide range of intelligent transportation system (ITS) applications. The basic idea of Vehdoop and a motivational example will be introduced in the first part of the talk.  In the second part, ViDA, which is a tool to improve teaching and learning computer programming by facilitating students to receive instant debugging advice, will be presented. It is part of our ongoing effort to enhance an e-learning system called PASS and this work is a follow-up of our another research work that demonstrated PASS’s capacity in enhancing student learning motivation and self-efficacy, which received >250 citations according to Google Scholar dated 31 May 2019.